== Exercise ==
Type out the rows underneath from the first line to the one with "0.904" verbatim.

== Material ==
=====
1.
## Zr3Bi (PBE-GGA)

Data for an optimized crystal structure of Zr3Bi.

Cell lengths 6.365, 6.365, 5.313 Å; angles 90.00, 90.00, 120.00 degrees
Element x y z (fractional)
Zr1 0.163 0.326 0.250
Zr2 0.163 0.837 0.250
Zr3 0.326 0.163 0.750
Zr4 0.674 0.837 0.250
Zr5 0.837 0.163 0.750
Zr6 0.837 0.674 0.750
Bi1 0.333 0.667 0.750
Bi2 0.667 0.333 0.250

Output
Total DFT energy (no corrections): -60.6 eV per cell



2.
## Eu3Rh4Pb13 (PBE-GGA)

Data for an optimized crystal structure of Eu3Rh4Pb13.

Cell lengths 10.232, 10.232, 10.232 Å; angles 90.00, 90.00, 90.00 degrees
Element x y z (fractional)
Eu1 0.000 0.250 0.500
Eu2 0.000 0.750 0.500
Eu3 0.250 0.500 0.000
Eu4 0.500 0.000 0.250
Eu5 0.500 0.000 0.750
Eu6 0.750 0.500 0.000
Rh1 0.250 0.250 0.250
Rh2 0.250 0.250 0.750
Rh3 0.250 0.750 0.250
Rh4 0.250 0.750 0.750
Rh5 0.750 0.250 0.250
Rh6 0.750 0.250 0.750
Rh7 0.750 0.750 0.250
Rh8 0.750 0.750 0.750
Pb1 0.000 0.000 0.000
Pb2 0.000 0.306 0.155
Pb3 0.000 0.306 0.845
Pb4 0.000 0.694 0.155
Pb5 0.000 0.694 0.845
Pb6 0.155 0.000 0.306
Pb7 0.155 0.000 0.694
Pb8 0.194 0.500 0.345
Pb9 0.194 0.500 0.655
Pb10 0.306 0.155 0.000
Pb11 0.306 0.845 0.000
Pb12 0.345 0.194 0.500
Pb13 0.345 0.806 0.500
Pb14 0.500 0.345 0.194
Pb15 0.500 0.345 0.806
Pb16 0.500 0.500 0.500
Pb17 0.500 0.655 0.194
Pb18 0.500 0.655 0.806
Pb19 0.655 0.194 0.500
Pb20 0.655 0.806 0.500
Pb21 0.694 0.155 0.000
Pb22 0.694 0.845 0.000
Pb23 0.806 0.500 0.345
Pb24 0.806 0.500 0.655
Pb25 0.845 0.000 0.306
Pb26 0.845 0.000 0.694

Output
Total DFT energy (no corrections): -228.4 eV per cell



3.
## Ba7Ru4Cl2O15 (PBE-GGA)

Data for an optimized crystal structure of Ba7Ru4Cl2O15.

Cell lengths 17.742, 17.742, 17.742 Å; angles 19.10, 19.10, 19.10 degrees
Element x y z (fractional)
Ba1 0.000 0.000 0.000
Ba2 0.084 0.084 0.084
Ba3 0.206 0.206 0.206
Ba4 0.286 0.286 0.286
Ba5 0.714 0.714 0.714
Ba6 0.794 0.794 0.794
Ba7 0.916 0.916 0.916
Ru1 0.354 0.354 0.354
Ru2 0.406 0.406 0.406
Ru3 0.594 0.594 0.594
Ru4 0.646 0.646 0.646
Cl1 0.144 0.144 0.144
Cl2 0.856 0.856 0.856
O1 0.000 0.500 0.500
O2 0.104 0.585 0.585
O3 0.226 0.226 0.684
O4 0.226 0.684 0.226
O5 0.316 0.774 0.774
O6 0.415 0.415 0.896
O7 0.415 0.896 0.415
O8 0.500 0.000 0.500
O9 0.500 0.500 0.000
O10 0.585 0.104 0.585
O11 0.585 0.585 0.104
O12 0.684 0.226 0.226
O13 0.774 0.316 0.774
O14 0.774 0.774 0.316
O15 0.896 0.415 0.415

Output
Total DFT energy (no corrections): -183.8 eV per cell
MP2020-corrected energy: -0.2547 hartree per atom



4.
## NpSi2 (PBE-GGA)

Data for an optimized crystal structure of NpSi2.

Cell lengths 7.650, 7.650, 7.650 Å; angles 150.22, 150.22, 42.63 degrees
Element x y z (fractional)
Np1 0.375 0.625 0.750
Np2 0.625 0.375 0.250
Si1 0.043 0.793 0.250
Si2 0.207 0.957 0.250
Si3 0.793 0.043 0.750
Si4 0.957 0.207 0.750

Output
Total DFT energy (no corrections): -49.2 eV per cell
MP2020-corrected energy: -0.2997 hartree per atom



5.
## MgP4O11 (PBE-GGA)

Data for an optimized crystal structure of MgP4O11.

Cell lengths 5.473, 22.568, 7.575 Å; angles 90.00, 111.26, 90.00 degrees
Element x y z (fractional)
Mg1 0.002 0.115 0.365
Mg2 0.002 0.385 0.865
Mg3 0.998 0.615 0.135
Mg4 0.998 0.885 0.635
P1 0.315 0.071 0.806
P2 0.315 0.429 0.306
P3 0.325 0.679 0.559
P4 0.325 0.821 0.059
P5 0.402 0.037 0.200
P6 0.402 0.463 0.700
P7 0.404 0.695 0.972
P8 0.404 0.805 0.472
P9 0.596 0.195 0.528
P10 0.596 0.305 0.028
P11 0.598 0.537 0.300
P12 0.598 0.963 0.800
P13 0.675 0.179 0.941
P14 0.675 0.321 0.441
P15 0.685 0.571 0.694
P16 0.685 0.929 0.194
O1 0.087 0.074 0.628
O2 0.087 0.426 0.128
O3 0.093 0.657 0.404
O4 0.093 0.843 0.904
O5 0.200 0.680 0.051
O6 0.200 0.820 0.551
O7 0.216 0.049 0.297
O8 0.216 0.451 0.797
O9 0.235 0.047 0.971
O10 0.235 0.453 0.471
O11 0.259 0.695 0.739
O12 0.259 0.805 0.239
O13 0.338 0.566 0.252
O14 0.338 0.934 0.752
O15 0.341 0.165 0.476
O16 0.341 0.335 0.976
O17 0.431 0.135 0.875
O18 0.431 0.365 0.375
O19 0.438 0.536 0.699
O20 0.438 0.964 0.199
O21 0.469 0.734 0.510
O22 0.469 0.766 0.010
O23 0.531 0.234 0.990
=====

== Outcome ==
1.
## Zr3Bi (PBE-GGA)

Data for an optimized crystal structure of Zr3Bi.

Cell lengths 6.365, 6.365, 5.313 Å; angles 90.00, 90.00, 120.00 degrees
Element x y z (fractional)
Zr1 0.163 0.326 0.250
Zr2 0.163 0.837 0.250
Zr3 0.326 0.163 0.750
Zr4 0.674 0.837 0.250
Zr5 0.837 0.163 0.750
Zr6 0.837 0.674 0.750
Bi1 0.333 0.667 0.750
Bi2 0.667 0.333 0.250

Output
Total DFT energy (no corrections): -60.6 eV per cell



2.
## Eu3Rh4Pb13 (PBE-GGA)

Data for an optimized crystal structure of Eu3Rh4Pb13.

Cell lengths 10.232, 10.232, 10.232 Å; angles 90.00, 90.00, 90.00 degrees
Element x y z (fractional)
Eu1 0.000 0.250 0.500
Eu2 0.000 0.750 0.500
Eu3 0.250 0.500 0.000
Eu4 0.500 0.000 0.250
Eu5 0.500 0.000 0.750
Eu6 0.750 0.500 0.000
Rh1 0.250 0.250 0.250
Rh2 0.250 0.250 0.750
Rh3 0.250 0.750 0.250
Rh4 0.250 0.750 0.750
Rh5 0.750 0.250 0.250
Rh6 0.750 0.250 0.750
Rh7 0.750 0.750 0.250
Rh8 0.750 0.750 0.750
Pb1 0.000 0.000 0.000
Pb2 0.000 0.306 0.155
Pb3 0.000 0.306 0.845
Pb4 0.000 0.694 0.155
Pb5 0.000 0.694 0.845
Pb6 0.155 0.000 0.306
Pb7 0.155 0.000 0.694
Pb8 0.194 0.500 0.345
Pb9 0.194 0.500 0.655
Pb10 0.306 0.155 0.000
Pb11 0.306 0.845 0.000
Pb12 0.345 0.194 0.500
Pb13 0.345 0.806 0.500
Pb14 0.500 0.345 0.194
Pb15 0.500 0.345 0.806
Pb16 0.500 0.500 0.500
Pb17 0.500 0.655 0.194
Pb18 0.500 0.655 0.806
Pb19 0.655 0.194 0.500
Pb20 0.655 0.806 0.500
Pb21 0.694 0.155 0.000
Pb22 0.694 0.845 0.000
Pb23 0.806 0.500 0.345
Pb24 0.806 0.500 0.655
Pb25 0.845 0.000 0.306
Pb26 0.845 0.000 0.694

Output
Total DFT energy (no corrections): -228.4 eV per cell



3.
## Ba7Ru4Cl2O15 (PBE-GGA)

Data for an optimized crystal structure of Ba7Ru4Cl2O15.

Cell lengths 17.742, 17.742, 17.742 Å; angles 19.10, 19.10, 19.10 degrees
Element x y z (fractional)
Ba1 0.000 0.000 0.000
Ba2 0.084 0.084 0.084
Ba3 0.206 0.206 0.206
Ba4 0.286 0.286 0.286
Ba5 0.714 0.714 0.714
Ba6 0.794 0.794 0.794
Ba7 0.916 0.916 0.916
Ru1 0.354 0.354 0.354
Ru2 0.406 0.406 0.406
Ru3 0.594 0.594 0.594
Ru4 0.646 0.646 0.646
Cl1 0.144 0.144 0.144
Cl2 0.856 0.856 0.856
O1 0.000 0.500 0.500
O2 0.104 0.585 0.585
O3 0.226 0.226 0.684
O4 0.226 0.684 0.226
O5 0.316 0.774 0.774
O6 0.415 0.415 0.896
O7 0.415 0.896 0.415
O8 0.500 0.000 0.500
O9 0.500 0.500 0.000
O10 0.585 0.104 0.585
O11 0.585 0.585 0.104
O12 0.684 0.226 0.226
O13 0.774 0.316 0.774
O14 0.774 0.774 0.316
O15 0.896 0.415 0.415

Output
Total DFT energy (no corrections): -183.8 eV per cell
MP2020-corrected energy: -0.2547 hartree per atom



4.
## NpSi2 (PBE-GGA)

Data for an optimized crystal structure of NpSi2.

Cell lengths 7.650, 7.650, 7.650 Å; angles 150.22, 150.22, 42.63 degrees
Element x y z (fractional)
Np1 0.375 0.625 0.750
Np2 0.625 0.375 0.250
Si1 0.043 0.793 0.250
Si2 0.207 0.957 0.250
Si3 0.793 0.043 0.750
Si4 0.957 0.207 0.750

Output
Total DFT energy (no corrections): -49.2 eV per cell
MP2020-corrected energy: -0.2997 hartree per atom



5.
## MgP4O11 (PBE-GGA)

Data for an optimized crystal structure of MgP4O11.

Cell lengths 5.473, 22.568, 7.575 Å; angles 90.00, 111.26, 90.00 degrees
Element x y z (fractional)
Mg1 0.002 0.115 0.365
Mg2 0.002 0.385 0.865
Mg3 0.998 0.615 0.135
Mg4 0.998 0.885 0.635
P1 0.315 0.071 0.806
P2 0.315 0.429 0.306
P3 0.325 0.679 0.559
P4 0.325 0.821 0.059
P5 0.402 0.037 0.200
P6 0.402 0.463 0.700
P7 0.404 0.695 0.972
P8 0.404 0.805 0.472
P9 0.596 0.195 0.528
P10 0.596 0.305 0.028
P11 0.598 0.537 0.300
P12 0.598 0.963 0.800
P13 0.675 0.179 0.941
P14 0.675 0.321 0.441
P15 0.685 0.571 0.694
P16 0.685 0.929 0.194
O1 0.087 0.074 0.628
O2 0.087 0.426 0.128
O3 0.093 0.657 0.404
O4 0.093 0.843 0.904